Tuesday, July 03, 2007

Tuesday's Trappings

I got up about 0600 this morning because I wanted to water the rose and the berries. After I finished the watering, I made myself an egg omelet with sweet onion, yellow pepper and mushrooms, one of my favorites!

After I read the paper and the mail, I took them out to the recycling tub and then went out back again and pulled some weeds and blackberries. The blackberries seem to be more ferocious this for some reason, I am having a hard time staying on top of them.

If they were not coming up in the rose garden and the grape vines they would be a little easier to contain, but I do not want to disturb the roses or the grapes any more than need be.

I had to stop about 1045; so that I could get ready to take Kathleen to the doctor's to have her stint taken out. We left here a little after 1100 and had to wait around in the doctor's office long enough for me to read one and a half Sports Illustrated. I took the second one in with me to the exam room and finished it while waiting for the doctor.

They were supposed to have Kathleen get a CT scan before coming in, but they neglected to let us know. That was so that the doctor could check to see that the stones had indeed been taken care of.

After a little discussion the doctor decided to take the stint out anyway. So once the stint was out Kathleen felt a little worse, but over all better. She had to set up another appointment for a week after mine to check blood work and make sure that the stones are gone and maybe do something about trying to make it so that they do not return.

The piece is interrupted by data records:
~~~
Compound: AlInRu2
Source: Alexandria
Functional: PBE-GGA
Structure: optimized geometry

Lattice parameters (Å, degrees): 4.4659 4.4659 4.4659 60.00 60.00 60.00
Positions (direct):
1 Al 0.0000 0.0000 0.0000
2 In 0.7500 0.7500 0.7500
3 Ru 0.2500 0.2500 0.2500
4 Ru 0.5000 0.5000 0.5000

## Properties
* D(E_F): 4.27 states/eV per cell
* DFT total energy: -6.09 eV per atom
* calculated formation energy: 0.17 eV per atom
* M_tot: 0.0 Bohr magnetons per cell
* space-group type: F-43m

---

Compound: AlIn2Ru
Source: Alexandria
Functional: PBE-GGA
Structure: optimized geometry

Lattice parameters (Å, degrees): 5.1102 5.1102 4.8124 99.25 99.25 36.60
Positions (direct):
1 Al 0.0000 0.0000 0.0000
2 In 0.2379 0.2379 0.7382
3 In 0.7621 0.7621 0.2618
4 Ru 0.5000 0.5000 0.5000

## Properties
* D(E_F): 1.95 states/eV per cell
* DFT total energy: -4.48 eV per atom
* calculated formation energy: 0.14 eV per atom
* M_tot: 0.0 Bohr magnetons per cell
* space-group type: C2/m

---

Compound: AlInRu2
Source: Alexandria
Functional: PBE-GGA
Structure: optimized geometry

Lattice parameters (Å, degrees): 4.4228 4.4228 3.1332 90.00 90.00 90.00
Positions (direct):
1 Al 0.0000 0.0000 0.0000
2 In 0.5000 0.5000 0.0000
3 Ru 0.0000 0.5000 0.5000
4 Ru 0.5000 0.0000 0.5000

## Properties
* D(E_F): 5.06 states/eV per cell
* DFT total energy: -6.46 eV per atom
* calculated formation energy: -0.20 eV per atom
* M_tot: 0.0 Bohr magnetons per cell
* space-group type: P4/mmm
~~~
The data records stop here:

We stopped by Lowe's afterwards to pick up some Scott's Summer Guard fertilizer for the lawn and also a couple other items. Then we headed home, stopping for gas on the way. Gas prices were about fifty cents cheaper than last month when we got gas.

One good thing about both of us not feeling well is that we do not go anywhere and so we have not gone through a lot of gas. We get gas for Kathleen's SUV about once every three or four weeks and for my Wrangler about once every three or four months.

After we got home I put the fertilizer on the front lawn and watered it in. Right now I have the sprinkler going to give it a good soaking. The weather has been so warm and dry lately that I am having to water the lawn once a week and the roses and berries a couple times a week. I thought Oregon was suppose to be wet and cool...must be global warming...!!

For dinner tonight Kathleen made a salad out of the leftover salmon, some wild rice, sweet onion
and an avocado. It was really good! We also had some of the potato salad from last night, I had German and Kathleen had a traditional potato salad, we also had some cold slaw, so it was a real salad night.

It was in the mid 80's today with tomorrow and Thursday projected to be in the low to mid 90's, so this is definitely salad weather. Tomorrow we are suppose to go over to Alyssa and Dan's for Independence Day. I think we are going to barbecue and maybe even dip in the pool the weather is suppose to be hot and humid, so it sounds like good pool weather.

Well, I guess that is about it for today, have a good night!